**File:**
<<<
For ScNbW4, a crystal structure in Alexandria, relaxed with PBE gives the calculated powder X-ray diffraction pattern in this record (Cu Kα).

Top 6 peaks for 10° ≤ 2θ ≤ 80°, by intensity:
d/Å	I (rel.)
2.281	100
2.184	73
4.369	58
1.456	32
1.338	32
1.892	23

Structural model:
```
6
Lattice="0.000 3.783 3.783 3.783 0.000 3.783 3.783 3.783 0.000" Properties=species:S:1:pos:R:3 pbc="T T T"
Sc 0.000 0.000 0.000
Nb 1.892 1.892 1.892
W 4.730 2.837 2.837
W 2.837 4.730 2.837
W 2.837 2.837 4.730
W 4.730 4.730 4.730
```

~~~~~

Diffraction record for Nd3ZnGe3. The X-ray powder pattern is theoretical, not measured: it uses a structure optimized by DFT (GGA-PBE) and a wavelength of 1.5418 Å.
Neutral-atom scattering factors, no anomalous dispersion.

Structural model:
Lattice parameters (Å, degrees): 9.7912 9.7912 9.7912 155.71 153.97 35.91
Sites, in units of the cell vectors:
1 Nd 0.0000 0.0000 0.0000
2 Nd 0.1873 0.6873 0.5000
3 Nd 0.3666 0.3666 0.0000
4 Zn 0.6154 0.1154 0.5000
5 Ge 0.5392 0.5392 0.0000
6 Ge 0.7462 0.2462 0.5000
7 Ge 0.8338 0.8338 0.0000

Main lines, sorted by position (10 to 90 degrees two-theta):
2theta  d (Å)  I_rel
31.2  2.865  100
31.4  2.846  48
35.5  2.529  26
40.3  2.236  26
40.9  2.205  28
41.8  2.162  20
43.9  2.060  23
55.0  1.669  20


Diffraction record for NiGe2. The X-ray powder pattern is theoretical, not measured: it uses a structure optimized by DFT (GGA-PBE) and a wavelength of 1.5418 Å.
Neutral-atom scattering factors, no anomalous dispersion.

Structural model:
Lattice parameters (Å, degrees): 6.2046 6.2046 5.7850 90.00 90.00 55.98
Sites, in units of the cell vectors:
1 Ni 0.1151 0.1151 0.0000
2 Ni 0.3849 0.3849 0.5000
3 Ni 0.6151 0.6151 0.5000
4 Ni 0.8849 0.8849 0.0000
5 Ge 0.0018 0.4982 0.2500
6 Ge 0.1549 0.8451 0.6568
7 Ge 0.3451 0.6549 0.1568
8 Ge 0.4982 0.0018 0.7500
9 Ge 0.5018 0.9982 0.2500
10 Ge 0.6549 0.3451 0.8432
11 Ge 0.8451 0.1549 0.3432
12 Ge 0.9982 0.5018 0.7500

Main lines, sorted by position (10 to 90 degrees two-theta):
2theta  d (Å)  I_rel
32.8  2.729  66
35.6  2.521  48
44.1  2.052  90
45.5  1.995  99
45.6  1.989  100
47.0  1.933  43
50.3  1.815  42
50.6  1.806  42


Diffraction record for Ni19Ge12. The X-ray powder pattern is theoretical, not measured: it uses a structure optimized by DFT (GGA-PBE) and a wavelength of 1.5418 Å.
Neutral-atom scattering factors, no anomalous dispersion.

Structural model:
Lattice parameters (Å, degrees): 6.7308 6.7308 10.0794 90.10 90.10 59.94
Sites, in units of the cell vectors:
1 Ni 0.0000 0.0000 0.0000
2 Ni 0.0033 0.3501 0.1239
3 Ni 0.0064 0.6611 0.7519
4 Ni 0.0070 0.3118 0.6255
5 Ni 0.0224 0.3211 0.8767
6 Ni 0.3252 0.6525 0.1229
7 Ni 0.3252 0.6664 0.3741
8 Ni 0.3324 0.3281 0.5002
9 Ni 0.3336 0.6748 0.6259
10 Ni 0.3389 0.9936 0.2481
11 Ni 0.3475 0.6748 0.8771
12 Ni 0.6499 0.9967 0.8761
13 Ni 0.6691 0.3289 0.2426
14 Ni 0.6711 0.3309 0.7574
15 Ni 0.6719 0.6676 0.4998
16 Ni 0.6773 0.0010 0.6259
17 Ni 0.6789 0.9776 0.1233
18 Ni 0.6882 0.9930 0.3745
19 Ni 0.9990 0.3227 0.3741
20 Ge 0.0012 0.6475 0.9970
21 Ge 0.0053 0.6969 0.5016
22 Ge 0.0048 0.9638 0.2480
23 Ge 0.0362 0.9952 0.7520
24 Ge 0.3031 0.9947 0.4984
25 Ge 0.3045 0.3590 0.2509
26 Ge 0.3386 0.2967 0.7492
27 Ge 0.3525 0.9988 0.0030
28 Ge 0.6410 0.6955 0.7491
29 Ge 0.6491 0.3509 0.0000
30 Ge 0.6947 0.3053 0.5000
31 Ge 0.7033 0.6614 0.2508

Main lines, sorted by position (10 to 90 degrees two-theta):
2theta  d (Å)  I_rel
32.0  2.798  35
44.9  2.018  78
45.0  2.015  37
46.8  1.942  100
66.8  1.400  10
66.9  1.398  19
75.4  1.260  9
85.6  1.135  18


Diffraction record for Ni3Ge7. The X-ray powder pattern is theoretical, not measured: it uses a structure optimized by DFT (GGA-PBE) and a wavelength of 1.5418 Å.
Neutral-atom scattering factors, no anomalous dispersion.

Structural model:
Lattice parameters (Å, degrees): 7.4443 7.4443 7.4443 109.47 109.47 109.47
Sites, in units of the cell vectors:
1 Ni 0.0000 0.3388 0.3388
2 Ni 0.0000 0.6612 0.6612
3 Ni 0.3388 0.0000 0.3388
4 Ni 0.3388 0.3388 0.0000
>>>

**What to do:**
Next, type out all of the contents earlier on word for word.

**Written answer:**
For ScNbW4, a crystal structure in Alexandria, relaxed with PBE gives the calculated powder X-ray diffraction pattern in this record (Cu Kα).

Top 6 peaks for 10° ≤ 2θ ≤ 80°, by intensity:
d/Å	I (rel.)
2.281	100
2.184	73
4.369	58
1.456	32
1.338	32
1.892	23

Structural model:
```
6
Lattice="0.000 3.783 3.783 3.783 0.000 3.783 3.783 3.783 0.000" Properties=species:S:1:pos:R:3 pbc="T T T"
Sc 0.000 0.000 0.000
Nb 1.892 1.892 1.892
W 4.730 2.837 2.837
W 2.837 4.730 2.837
W 2.837 2.837 4.730
W 4.730 4.730 4.730
```

~~~~~

Diffraction record for Nd3ZnGe3. The X-ray powder pattern is theoretical, not measured: it uses a structure optimized by DFT (GGA-PBE) and a wavelength of 1.5418 Å.
Neutral-atom scattering factors, no anomalous dispersion.

Structural model:
Lattice parameters (Å, degrees): 9.7912 9.7912 9.7912 155.71 153.97 35.91
Sites, in units of the cell vectors:
1 Nd 0.0000 0.0000 0.0000
2 Nd 0.1873 0.6873 0.5000
3 Nd 0.3666 0.3666 0.0000
4 Zn 0.6154 0.1154 0.5000
5 Ge 0.5392 0.5392 0.0000
6 Ge 0.7462 0.2462 0.5000
7 Ge 0.8338 0.8338 0.0000

Main lines, sorted by position (10 to 90 degrees two-theta):
2theta  d (Å)  I_rel
31.2  2.865  100
31.4  2.846  48
35.5  2.529  26
40.3  2.236  26
40.9  2.205  28
41.8  2.162  20
43.9  2.060  23
55.0  1.669  20


Diffraction record for NiGe2. The X-ray powder pattern is theoretical, not measured: it uses a structure optimized by DFT (GGA-PBE) and a wavelength of 1.5418 Å.
Neutral-atom scattering factors, no anomalous dispersion.

Structural model:
Lattice parameters (Å, degrees): 6.2046 6.2046 5.7850 90.00 90.00 55.98
Sites, in units of the cell vectors:
1 Ni 0.1151 0.1151 0.0000
2 Ni 0.3849 0.3849 0.5000
3 Ni 0.6151 0.6151 0.5000
4 Ni 0.8849 0.8849 0.0000
5 Ge 0.0018 0.4982 0.2500
6 Ge 0.1549 0.8451 0.6568
7 Ge 0.3451 0.6549 0.1568
8 Ge 0.4982 0.0018 0.7500
9 Ge 0.5018 0.9982 0.2500
10 Ge 0.6549 0.3451 0.8432
11 Ge 0.8451 0.1549 0.3432
12 Ge 0.9982 0.5018 0.7500

Main lines, sorted by position (10 to 90 degrees two-theta):
2theta  d (Å)  I_rel
32.8  2.729  66
35.6  2.521  48
44.1  2.052  90
45.5  1.995  99
45.6  1.989  100
47.0  1.933  43
50.3  1.815  42
50.6  1.806  42


Diffraction record for Ni19Ge12. The X-ray powder pattern is theoretical, not measured: it uses a structure optimized by DFT (GGA-PBE) and a wavelength of 1.5418 Å.
Neutral-atom scattering factors, no anomalous dispersion.

Structural model:
Lattice parameters (Å, degrees): 6.7308 6.7308 10.0794 90.10 90.10 59.94
Sites, in units of the cell vectors:
1 Ni 0.0000 0.0000 0.0000
2 Ni 0.0033 0.3501 0.1239
3 Ni 0.0064 0.6611 0.7519
4 Ni 0.0070 0.3118 0.6255
5 Ni 0.0224 0.3211 0.8767
6 Ni 0.3252 0.6525 0.1229
7 Ni 0.3252 0.6664 0.3741
8 Ni 0.3324 0.3281 0.5002
9 Ni 0.3336 0.6748 0.6259
10 Ni 0.3389 0.9936 0.2481
11 Ni 0.3475 0.6748 0.8771
12 Ni 0.6499 0.9967 0.8761
13 Ni 0.6691 0.3289 0.2426
14 Ni 0.6711 0.3309 0.7574
15 Ni 0.6719 0.6676 0.4998
16 Ni 0.6773 0.0010 0.6259
17 Ni 0.6789 0.9776 0.1233
18 Ni 0.6882 0.9930 0.3745
19 Ni 0.9990 0.3227 0.3741
20 Ge 0.0012 0.6475 0.9970
21 Ge 0.0053 0.6969 0.5016
22 Ge 0.0048 0.9638 0.2480
23 Ge 0.0362 0.9952 0.7520
24 Ge 0.3031 0.9947 0.4984
25 Ge 0.3045 0.3590 0.2509
26 Ge 0.3386 0.2967 0.7492
27 Ge 0.3525 0.9988 0.0030
28 Ge 0.6410 0.6955 0.7491
29 Ge 0.6491 0.3509 0.0000
30 Ge 0.6947 0.3053 0.5000
31 Ge 0.7033 0.6614 0.2508

Main lines, sorted by position (10 to 90 degrees two-theta):
2theta  d (Å)  I_rel
32.0  2.798  35
44.9  2.018  78
45.0  2.015  37
46.8  1.942  100
66.8  1.400  10
66.9  1.398  19
75.4  1.260  9
85.6  1.135  18


Diffraction record for Ni3Ge7. The X-ray powder pattern is theoretical, not measured: it uses a structure optimized by DFT (GGA-PBE) and a wavelength of 1.5418 Å.
Neutral-atom scattering factors, no anomalous dispersion.

Structural model:
Lattice parameters (Å, degrees): 7.4443 7.4443 7.4443 109.47 109.47 109.47
Sites, in units of the cell vectors:
1 Ni 0.0000 0.3388 0.3388
2 Ni 0.0000 0.6612 0.6612
3 Ni 0.3388 0.0000 0.3388
4 Ni 0.3388 0.3388 0.0000